My name is Igor Brito and I always was a hyperactive kid, a fast-learner, because I’m very curious. For many years I felt like I was a little different from others. During my life as a student, which I did with a notebook wrapped in my pocket, I faced immense difficulties in studying at school, was restless, lacked motivation, was out of place, and was one step away from ending in delinquency. This lack of motivation, it was not for lack of willingness to learn, because I was always very very curious. Probably the pedagogical model of the traditional school was not up to my curiosity … Lol… Schools teach you how to be part of a gear, to keep the wheel spinning, but I’m one of those who always wondered why and how the wheel works. In my life everything was too early, I failed from a young age.
I could not take advantage of talent and opportunities, in school, in the football I practiced since I was 9 years old or in my experience as a businessman started at 18/19 years. Businessman with a company on the way to bankruptcy and father of 2 small daughters to care for and feed, I went through moments of despair. Those were really very difficult times. Sometimes I did not know how I would buy food for my family or put fuel on my car to go to work, due to lack of money.
Those were challenging moments. Thankfully everything changed, we survived. I’m the father of 2 beautiful teenagers, I wait for the 3rd child within the week and I’m in the best physical shape ever, and the financial issues have been overcome with distinction. Today, I’m getting closer to hitting Financial Independence, Retire Early (FIRE), so when I look back, I have to be grateful for everything I have and especially for everything I’ve learned. Grateful, with all the successes and failures, things that seem so distant, but I’m sure the first can’t exist without the second. I also share something that many can feel: I always thought I was one of the smartest in the groups I was going through, and so I was “stuck” in my knowledge and curiosity.
But I really only evolved when my “room” or “bookshelf” became full of books and people with more knowledge than me. I’m a believer, I believe in the human being, that no one tends to hurt someone on purpose and I want to keep a great dose of madness, to make the things that I believe in really happen.
• What comes next are materials data, not part of the entry:
~~~
Diffraction record for Dy2B4O9. The X-ray diffraction stick pattern is computed, not measured: it uses a crystal structure in the Materials Project, relaxed with PBE and Cu Kα (weighted mean of Kα1 and Kα2).

Structural model:
Cell lengths 6.1991, 6.4665, 7.5069 Å; angles 102.29, 97.16, 102.37 degrees
Fractional positions:
Dy1 0.0495 0.0902 0.2866
Dy2 0.3856 0.6755 0.3582
Dy3 0.6144 0.3245 0.6418
Dy4 0.9505 0.9098 0.7134
B1 0.1267 0.3564 0.6512
B2 0.1614 0.6808 0.9255
B3 0.2305 0.3338 0.9816
B4 0.4945 0.1457 0.1901
B5 0.5055 0.8543 0.8099
B6 0.7695 0.6662 0.0184
B7 0.8386 0.3192 0.0745
B8 0.8733 0.6436 0.3488
O1 0.0048 0.7894 0.0184
O2 0.0398 0.5369 0.7472
O3 0.0785 0.8167 0.4449
O4 0.2628 0.2631 0.7897
O5 0.2734 0.5707 0.0409
O6 0.2811 0.4045 0.5229
O7 0.3119 0.8665 0.8774
O8 0.3604 0.2821 0.1435
O9 0.4298 0.0425 0.3238
O10 0.5702 0.9575 0.6762
O11 0.6396 0.7179 0.8565
O12 0.6881 0.1335 0.1226
O13 0.7189 0.5955 0.4771
O14 0.7266 0.4293 0.9591
O15 0.7372 0.7369 0.2103
O16 0.9215 0.1833 0.5551
O17 0.9602 0.4631 0.2528
O18 0.9952 0.2106 0.9816

Top 12 peaks for 2θ from 10° to 90°, in order of rising 2θ:
d [Å]  I (rel.)  hkl
7.217  43  0 0 1
5.059  44  1 0 -1
3.973  25  -1 1 1
3.822  45  1 1 0
3.364  38  1 0 -2
3.107  49  0 2 -1
3.067  29  1 1 -2
3.052  68  1 1 1
2.985  100  2 -1 0
2.819  35  0 1 2
2.684  26  0 2 -2
2.516  31  2 1 -1
~~~
What do you do?
They say I’m CEO of Planning4life Group, composed by HISonia a virtual assistant who aims to return to customers millions of euros in insurance commissions, simplifying and putting the process of having cool and more transparent insurance. At Planning4Life, we are developing technology and methods, with the purpose that all people have their financial coach. This will dramatically increase people’s “odds” of having their personal finances healthy. I feel that my mission is to empower people with financial knowledge so that the social discrepancy reduces dramatically. It is not acceptable for the 27 richest people in the world to hold wealth equal to what 50% of the world’s population produces per year. “Between doing the hard and the impossible the difference is just the time it takes…”
What gives you energy?
Being a father and a businessman and having to set an example. Especially knowing that with the technology we are building we can change the world, giving more opportunities and knowledge for people to have a healthy and sustainable financial life.
What’s your secret life hack?
Gratitude. To know that I am privileged, I was born into a lower-middle-class white family in Portugal, so I can consider myself rich from birth, I’ve always been part of the richest 20% in the world. I’m perfect, without any physical disability, I’m not an ugly man and I have a brain that learns fast, I think these ingredients are more than enough to achieve what you want. I also learned that when I share a goal with the world, I give more of myself to achieve it, because I am exposed to the ridicule of failing the objective. It’s a mental trigger that I use and that positively influences me to give a little more and do what I have to do, in those moments when the will is little.
Name a book that changed your life.
Hum … It’s so hard … I don’t think I have a book, but I remember some important ones: “Rich Dad Poor Dad” (Robert T. Kiyosaki), “Delivering Happiness: A Path to Profits, Passion, and Purpose” (Tony Hiesh), “Secrets of the Millionaire Mind” [Eker, T. Harv], “Think and Grow Rich” (Napoleon Hill), “The Leader Who Had No Title” (Robin Sharma), “Givers and Takers, Maybe the Switch – Brothers” (Dan and Chip Heath)
Tell us about your relationship with your phone. Does it sleep with you?
It’s hard to… I try to control but I spend between 5 and 6 hours on the phone. It’s scary, especially since it tends not to improve. Emails, social networks, conference calls, podcasts, sports apps, it’s amazing how dependent we are on the phone. Regarding sleeping with the phone, it depends, sometimes yes, other times no.
How do you deal with email?
It’s a work tool, which I try not to see. The idea is that the emails I receive do not get me out of the way of the things I need to do that day, I feel like I get it most of the time.
You unexpectedly find 15 minutes in your day, what do you do with it?
It depends, if I’m working, I’ll probably watch some video, study something new, but if it’s a good weather day, I’ll probably sunbathe, walk a little, walk my dog.
When was the last time you felt burned out and why?
The situation that I was closest to, I think it was in 2012, I was in a multinational insurance company where I was a Senior Unit Manager and I was struggling to achieve various goals, I slept little, I had anxiety attacks and I ended up having to stoip and disconnect for a week.
When was the last time you felt you failed and how did you overcome it?
Fail! Lol, an entrepreneur and a father, feel it every other day. Sometimes it’s harder than others, but at the end of the line, we survive. It depends a lot on the situation, at work, it’s part of creating something new, whenever I fail I find a different way of how not to do. Although in professional terms I have learned to manage this, in my personal life, I have to confess that I am still an apprentice.
Share a quote that you love and that gives you strength or peace.
Sorry, but I have to share 2 great ideas. “You see, in life, lots of people know what to do, but few people actually do what they know. Knowing is not enough! You must take action.” – Tony Robbins; “I have no special talents. I am only passionately curious.” Albert Einstein.